_Wanted_
Could you give back only the lines further below with the word "PBE" in them?
_Listing_
+++
Crystalline PmDy2In3 at its relaxed geometry, computed with PBE.

a b c (Å): 3.7680 3.7680 11.4911
angles (deg): 90.00 90.00 90.00
Atoms (fractional coordinates):
Pm 0.0000 0.0000 0.0000
Dy 0.0000 0.0000 0.3372
Dy 0.0000 0.0000 0.6628
In 0.5000 0.5000 0.1749
In 0.5000 0.5000 0.5000
In 0.5000 0.5000 0.8251

=====

Crystalline Tl12Br3Cl5 at its relaxed geometry, computed with PBE.

a b c (Å): 16.2137 16.2137 16.2137
angles (deg): 109.47 109.47 109.47
Atoms (fractional coordinates):
Tl 0.0605 0.2321 0.1281
Tl 0.0605 0.3284 0.9324
Tl 0.0676 0.6281 0.3960
Tl 0.0676 0.9395 0.6716
Tl 0.1040 0.7321 0.6716
Tl 0.1040 0.8719 0.4324
Tl 0.1281 0.0605 0.2321
Tl 0.1281 0.5676 0.8960
Tl 0.1716 0.2321 0.6040
Tl 0.1716 0.4395 0.5676
Tl 0.2321 0.1281 0.0605
Tl 0.2321 0.6040 0.1716
Tl 0.2679 0.3284 0.8960
Tl 0.2679 0.4395 0.3719
Tl 0.3284 0.8960 0.2679
Tl 0.3284 0.9324 0.0605
Tl 0.3719 0.2679 0.4395
Tl 0.3719 0.6040 0.9324
Tl 0.3960 0.0676 0.6281
Tl 0.3960 0.8284 0.7679
Tl 0.4324 0.1040 0.8719
Tl 0.4324 0.8284 0.5605
Tl 0.4395 0.3719 0.2679
Tl 0.4395 0.5676 0.1716
Tl 0.5605 0.4324 0.8284
Tl 0.5605 0.6281 0.7321
Tl 0.5676 0.1716 0.4395
Tl 0.5676 0.8960 0.1281
Tl 0.6040 0.1716 0.2321
Tl 0.6040 0.9324 0.3719
Tl 0.6281 0.3960 0.0676
Tl 0.6281 0.7321 0.5605
Tl 0.6716 0.0676 0.9395
Tl 0.6716 0.1040 0.7321
Tl 0.7321 0.5605 0.6281
Tl 0.7321 0.6716 0.1040
Tl 0.7679 0.3960 0.8284
Tl 0.7679 0.8719 0.9395
Tl 0.8284 0.5605 0.4324
Tl 0.8284 0.7679 0.3960
Tl 0.8719 0.4324 0.1040
Tl 0.8719 0.9395 0.7679
Tl 0.8960 0.1281 0.5676
Tl 0.8960 0.2679 0.3284
Tl 0.9324 0.0605 0.3284
Tl 0.9324 0.3719 0.6040
Tl 0.9395 0.6716 0.0676
Tl 0.9395 0.7679 0.8719
Br 0.1250 0.2500 0.3750
Br 0.1250 0.3750 0.7500
Br 0.2500 0.3750 0.1250
Br 0.2500 0.8750 0.6250
Br 0.3750 0.1250 0.2500
Br 0.3750 0.7500 0.1250
Br 0.6250 0.2500 0.8750
Br 0.6250 0.8750 0.7500
Br 0.7500 0.1250 0.3750
Br 0.7500 0.6250 0.8750
Br 0.8750 0.6250 0.2500
Br 0.8750 0.7500 0.6250
Cl 0.0000 0.0000 0.0000
Cl 0.0000 0.0000 0.5000
Cl 0.0000 0.5000 0.0000
Cl 0.0000 0.5000 0.5000
Cl 0.1250 0.7500 0.8750
Cl 0.1250 0.8750 0.2500
Cl 0.2500 0.1250 0.8750
Cl 0.2500 0.6250 0.3750
Cl 0.3750 0.2500 0.6250
Cl 0.3750 0.6250 0.7500
Cl 0.5000 0.0000 0.0000
Cl 0.5000 0.0000 0.5000
Cl 0.5000 0.5000 0.0000
Cl 0.5000 0.5000 0.5000
Cl 0.6250 0.3750 0.2500
Cl 0.6250 0.7500 0.3750
Cl 0.7500 0.3750 0.6250
Cl 0.7500 0.8750 0.1250
Cl 0.8750 0.1250 0.7500
Cl 0.8750 0.2500 0.1250

=====

Crystalline NaLa2Ru2 at its relaxed geometry, computed with PBE.

a b c (Å): 8.1399 8.1399 3.5916
angles (deg): 90.00 90.00 90.00
Atoms (fractional coordinates):
Na 0.0000 0.0000 0.0000
Na 0.5000 0.5000 0.0000
La 0.1569 0.3431 0.5000
La 0.3431 0.8431 0.5000
La 0.6569 0.1569 0.5000
La 0.8431 0.6569 0.5000
Ru 0.1304 0.6304 0.0000
Ru 0.3696 0.1304 0.0000
Ru 0.6304 0.8696 0.0000
Ru 0.8696 0.3696 0.0000

=====

Crystalline Tm4TlCd at its relaxed geometry, computed with PBE.

a b c (Å): 3.5225 3.5225 13.3068
angles (deg): 90.00 90.00 90.00
Atoms (fractional coordinates):
Tm 0.0000 0.0000 0.1551
Tm 0.0000 0.0000 0.8449
Tm 0.5000 0.5000 0.3378
Tm 0.5000 0.5000 0.6622
Tl 0.0000 0.0000 0.5000
Cd 0.5000 0.5000 0.0000

=====

Crystalline LiBiSe2N at its relaxed geometry, computed with PBE.

a b c (Å): 5.0168 5.0168 3.9303
angles (deg): 90.00 90.00 90.00
Atoms (fractional coordinates):
Li 0.0000 0.0000 0.0000
Bi 0.5000 0.5000 0.5000
Se 0.0000 0.5000 0.0000
Se 0.5000 0.0000 0.0000
N 0.0000 0.0000 0.5000

=====

Crystalline Li2Sn3P4O14 at its relaxed geometry, computed with PBE.

a b c (Å): 7.5695 9.3409 11.0574
angles (deg): 90.00 109.43 90.00
Atoms (fractional coordinates):
Li 0.2185 0.0034 0.2900
Li 0.2185 0.4966 0.7900
Li 0.7815 0.5034 0.2100
Li 0.7815 0.9966 0.7100
Sn 0.0000 0.0000 0.5000
Sn 0.0000 0.5000 0.0000
Sn 0.2106 0.6411 0.4982
Sn 0.2106 0.8589 0.9982
Sn 0.7894 0.1411 0.0018
Sn 0.7894 0.3589 0.5018
P 0.1208 0.1737 0.8199
P 0.1208 0.3263 0.3199
P 0.4130 0.5104 0.2807
P 0.4130 0.9896 0.7807
P 0.5870 0.0104 0.2193
P 0.5870 0.4896 0.7193
P 0.8792 0.6737 0.6801
+++
_Written answer_
Crystalline PmDy2In3 at its relaxed geometry, computed with PBE.
Crystalline Tl12Br3Cl5 at its relaxed geometry, computed with PBE.
Crystalline NaLa2Ru2 at its relaxed geometry, computed with PBE.
Crystalline Tm4TlCd at its relaxed geometry, computed with PBE.
Crystalline LiBiSe2N at its relaxed geometry, computed with PBE.
Crystalline Li2Sn3P4O14 at its relaxed geometry, computed with PBE.